<a>
## YP2ICl (PBE)

Data for YP2ICl after structural relaxation.

Output
SG: No. 123

abc: 5.1554 5.1554 5.1139
angles: 90.00 90.00 90.00
Element x y z (fractional)
I1 0.0000 0.0000 0.0000
Y1 0.5000 0.5000 0.5000
P1 0.0000 0.5000 0.0000
P2 0.5000 0.0000 0.0000
Cl1 0.0000 0.0000 0.5000

<b>
## YP2ICl (PBE)

Data for YP2ICl after structural relaxation.

Output
SG: No. 123

abc: 5.5301 5.5301 5.1329
angles: 90.00 90.00 90.00
Element x y z (fractional)
I1 0.5000 0.5000 0.5000
Y1 0.0000 0.0000 0.0000
P1 0.0000 0.5000 0.0000
P2 0.5000 0.0000 0.0000
Cl1 0.0000 0.0000 0.5000

What should be chosen as the least stable of them? Choose <a>.

<a>
## ZnPICl2 (PBE)

Data for ZnPICl2 after structural relaxation.

Output
SG: No. 123

abc: 5.5026 5.5026 5.2444
angles: 90.00 90.00 90.00
Element x y z (fractional)
I1 0.0000 0.0000 0.0000
P1 0.0000 0.0000 0.5000
Zn1 0.5000 0.5000 0.5000
Cl1 0.0000 0.5000 0.0000
Cl2 0.5000 0.0000 0.0000

<b>
## ZnPICl2 (PBE)

Data for ZnPICl2 after structural relaxation.

Output
SG: No. 123

abc: 4.5235 4.5235 7.7140
angles: 90.00 90.00 90.00
Element x y z (fractional)
I1 0.5000 0.5000 0.5000
P1 0.0000 0.0000 0.5000
Zn1 0.0000 0.0000 0.0000
Cl1 0.0000 0.5000 0.0000
Cl2 0.5000 0.0000 0.0000

What should be chosen as the least stable of them? Choose <a>.

<a>
## ZrP2ICl (PBE)

The reader should filter the notes further above: keep the lines with the word "abc".

abc: 5.1554 5.1554 5.1139
abc: 5.5301 5.5301 5.1329
abc: 5.5026 5.5026 5.2444
abc: 4.5235 4.5235 7.7140